Examples of electrophile in the following topics:
- Three examples are shown in equations 1 through 3; electrophiles are colored red, and nucleophiles are colored blue.
- In the former addition reaction, bromine (an electrophile) attacks the nucleophilic double bond of 1-butene to give an electrophilic cyclic-bromonium intermediate (enclosed in square brackets) accompanied by a nucleophilic bromide ion.
- However, this electrophilic character may be enhanced or diminished by substituents.
- This generates the bromonium cation, Br(+), a powerful electrophile.
- We can increase the electrophile reactivity by converting the ester to its conjugate acid, CH3C(OH)OC2H5(+).
- The facility with which the aromatic ring of phenols and phenol ethers undergoes electrophilic substitution has been noted.
- Carbon dioxide is a weak electrophile and normally does not react with aromatic compounds; however, the negative charge concentration on the phenolate ring enables the carboxylation reaction shown in the second step.
- This reaction class could be termed electrophilic substitution at oxygen, and is defined as follows (E is an electrophile).
- This reaction is believed to proceed by the rapid bonding of a strong electrophile to a carboxylate anion.
- Alkynes may also serve as electrophiles in substitution reactions of this kind, as illustrated by the synthesis of vinyl acetate from acetylene.
- Electrophilic species such as acids or halogens are necessary initiators of lactonizations.
- Even the weak electrophile iodine initiates iodolactonization of γ,δ- and δ,ε-unsaturated acids.
- Electrophile: An electron deficient atom, ion or molecule that has an affinity for an electron pair, and will bond to a base or nucleophile.
- Nucleophile: An atom, ion or molecule that has an electron pair that may be donated in bonding to an electrophile (or Lewis acid).
- In this sense they are electrophiles, but the non-bonding electron pair also gives carbenes nucleophilic character.
- As a rule, the electrophilic character dominates carbene reactivity.
- The importance of electrophile / nucleophile terminology comes from the fact that many organic reactions involve at some stage the bonding of a nucleophile to an electrophile, a process that generally leads to a stable intermediate or product.
- Since the reagents and conditions employed in these reactions are electrophilic, these reactions are commonly referred to as Electrophilic Aromatic Substitution.
- The catalysts and co-reagents serve to generate the strong electrophilic species needed to effect the initial step of the substitution.
- The specific electrophile believed to function in each type of reaction is listed in the right hand column.
- A two-step mechanism has been proposed for these electrophilic substitution reactions.
- In the first, slow or rate-determining, step the electrophile forms a sigma-bond to the benzene ring, generating a positively charged benzenonium intermediate.
- This mechanism for electrophilic aromatic substitution should be considered in context with other mechanisms involving carbocation intermediates.
- The carbocation intermediate in electrophilic aromatic substitution (the benzenonium ion) is stabilized by charge delocalization (resonance) so it is not subject to rearrangement.
- The oxygen atom of an alcohol is nucleophilic and is therefore prone to attack by electrophiles.
- This powerful nucleophile then attacks the weak electrophile.
- In the following equation the electrophile may be regarded as Cl(+).
- This reaction provides examples of both strong electrophilic substitution (first equation below), and weak electrophilic substitution (second equation).
- The electrophilic atom in the acid chlorides and anhydrides is colored red.
**Calculated molecules, as found in the file**
'''
This record from the OMol25 dataset describes a molecular structure, C31H42CoN3OP at a distorted geometry. The level of theory is ωB97M-V/def2-TZVPD.

2S+1 = 5
HOMO (alpha / beta) = 0.6 / -3.2 eV
relative energy (zero: lowest compared OMol25 entry of this formula, charge and spin) = 0.0 kJ/mol
charge = -1

```
79
C31H42CoN3OP (ωB97M-V/def2-TZVPD)
Co -0.194 0.099 0.107
N 1.729 0.022 -0.532
N 0.166 1.580 -2.342
C -1.958 0.418 1.071
C -1.095 1.568 0.989
C 0.129 1.251 1.686
C 1.152 2.296 1.930
H 1.139 3.081 1.158
H 2.153 1.844 1.883
H 1.043 2.768 2.917
C -0.005 -0.119 2.191
C 0.788 -0.906 3.167
H 0.487 -0.740 4.221
H 1.840 -0.626 3.046
H 0.721 -1.990 2.968
C -1.254 -0.627 1.737
C -1.833 -1.923 2.193
H -1.040 -2.674 2.294
H -2.559 -2.271 1.452
H -2.342 -1.839 3.170
C -1.434 2.898 0.417
H -1.832 3.580 1.184
H -2.191 2.779 -0.368
H -0.546 3.364 -0.030
C -3.397 0.365 0.737
H -3.603 -0.595 0.244
H -3.655 1.187 0.060
H -4.039 0.438 1.633
C 2.654 -0.932 -0.172
H 2.246 -1.803 0.342
C 4.037 -0.657 -0.199
H 4.729 -1.419 0.195
C 4.526 0.594 -0.558
H 5.542 0.902 -0.315
C 3.608 1.526 -1.012
H 3.852 2.577 -1.191
C 2.223 1.196 -1.122
C 1.336 2.048 -1.786
H 1.675 3.022 -2.119
C -0.551 0.535 -1.789
C -0.475 2.111 -3.476
H -0.068 2.934 -4.029
C -1.548 1.325 -3.702
H -2.240 1.335 -4.512
N -1.591 0.373 -2.673
C -2.466 -0.760 -2.726
C -3.849 -0.585 -2.587
C -4.660 -1.726 -2.545
H -5.733 -1.610 -2.381
C -4.128 -3.004 -2.723
C -4.999 -4.223 -2.664
H -4.870 -4.764 -1.717
H -4.746 -4.919 -3.472
H -6.054 -3.948 -2.755
C -2.761 -3.136 -2.973
H -2.342 -4.122 -3.174
C -1.922 -2.021 -3.000
C -0.496 -2.159 -3.418
H -0.342 -1.812 -4.452
H -0.212 -3.215 -3.382
H 0.177 -1.592 -2.764
C -4.478 0.767 -2.472
H -4.858 1.116 -3.444
H -3.786 1.528 -2.097
H -5.339 0.713 -1.792
C 3.279 0.942 4.432
P 4.112 0.491 2.889
C 4.830 2.074 2.380
C 4.903 -1.106 3.158
O 2.993 0.124 1.936
H 2.724 0.058 4.803
H 2.611 1.811 4.255
H 4.169 1.184 5.027
H 5.596 2.227 3.152
H 5.253 2.074 1.363
H 4.040 2.851 2.459
H 4.069 -1.840 3.178
H 5.567 -1.321 2.307
H 5.390 -0.990 4.133
```

=====

# C34H94O13

A cluster of 13 separate species, C34H94O13 in total at a distorted geometry (ωB97M-V/def2-TZVPD, OMol25).

Each line ends with the Löwdin charge.
Cartesian coordinates (Å):
O 22.76160 9.41435 5.58154  -0.04
O 22.31455 2.67056 8.87668  -0.10
O 24.46011 4.47408 8.44973  -0.08
O 20.99876 3.66401 11.18719  -0.12
O 16.32503 8.20474 5.73965  -0.07
O 19.33580 6.03674 11.23393  -0.09
O 19.92272 -2.86015 8.43533  -0.06
O 15.53868 5.50115 5.43218  -0.08
O 20.86403 -0.74314 2.62319  -0.05
O 21.24912 3.91450 1.87179  -0.07
O 14.63760 3.33795 6.91938  -0.09
O 19.72971 2.55007 7.68370  -0.09
O 23.80433 4.79315 2.95024  -0.08
C 19.98254 -1.11841 6.77832  -0.04
C 20.44965 4.92202 -0.16742  -0.05
C 22.78347 6.10816 8.81796  -0.01
C 18.55549 6.25733 10.07219  -0.32
C 22.79312 -1.72782 3.61557  -0.06
C 15.50410 2.26855 8.92404  -0.08
C 24.41767 4.30868 4.13934  -0.28
C 14.05171 4.75012 3.66471  -0.04
'''
- When the addition reactions of electrophilic reagents, such as strong Brønsted acids and halogens, to alkynes are studied we find a curious paradox.
- As a rule, electrophilic addition reactions to alkenes and alkynes proceed by initial formation of a pi-complex, in which the electrophile accepts electrons from and becomes weakly bonded to the multiple bond.
- Why are the reactions of alkynes with electrophilic reagents more sluggish than the corresponding reactions of alkenes?
- Since the initial interaction between an electrophile and an alkene or alkyne is the formation of a pi-complex, in which the electrophile accepts electrons from and becomes weakly bonded to the multiple bond, the relatively slower reactions of alkynes becomes understandable.
- Despite these differences, electrophilic additions to alkynes have emerged as exceptionally useful synthetic transforms.
- The proton is not the only electrophilic species that initiates addition reactions to the double bond.
- The electrophilic character of the halogens is well known.
- The electrophilic moiety of these reagents is the halogen.
- To apply this mechanism we need to determine the electrophilic moiety in each of the reagents.
- By using electronegativity differences we can dissect common addition reagents into electrophilic and nucleophilic moieties, as shown below.
- The organometal species produced in this way could then react with a variety of common electrophilic reagents (e.g. alkyl halides, carbonyl compounds and halogens).
- The following equation illustrates this Directed ortho Metalation (DoM) reaction, where DMG refers to a directing metalation group and E+ is an electrophile.
- Electrophilic substitution of aromatic rings generally gives a mixture of ortho and para substitution products when an existing substituent activates the ring or meta products when the substituent is deactivating.
- Electrophilic iodination by the action of molecular iodine in the presence of sodium nitrate and acetic acid (a source of iodinium cation) gives a high yield of para-iodoanisole.
- Direct electrophilic substitution would normally occur at the meta position, so the action of the amide DMG is particularly noteworthy.